Yet Another Covid Dashboard, Part 3: Deploying it using Heroku
Posted: 3rd January 2022Preface
Two posts ago, we have written a web app in Python using the flask library. This app loads data on the Covid pandemic from different web sources, processes them, generates plots, and serves those as a HTML dashboard to the web. In the previous post, we have optimised it using caching to prepare it for deployment to the web. Yesterday, I have finally deployed the app to the web using the cloud application platform Heroku. Since then, it can now be found here.
Heroku offers a helpful video tutorial, which is an excellent starting point; however, I had to slightly modify the work flow to get everything running. Thus, I decided to write up my process here for future reference both for myself and others.
The Workflow
1. Get a (free) Heroku Account
Sign up for a free account on this page. No personal information except for name and e-mail address are required.
Attached: calculated molecules >
(1)
C59H51N8O4RbS2 as an isolated structure, computed with the ωB97M-V functional and the def2-TZVPD basis.

Structure (XYZ):
```
125
Properties=species:S:1:pos:R:3:forces:R:3
Rb 0.62073 -0.00618 -0.04437 -0.1 0.0 0.7
N -2.78743 0.48624 4.58432 0.0 -0.1 0.1
C -1.80457 0.59238 5.54636 -0.1 0.1 0.0
C -1.84468 0.79321 6.92166 0.0 0.0 0.0
C -0.62552 0.85812 7.57335 0.0 0.0 0.0
C 0.58723 0.73556 6.87655 0.0 0.0 0.0
C 0.61839 0.54145 5.50932 0.0 0.0 0.0
C -0.60012 0.46267 4.83943 0.0 0.0 0.0
N -0.84884 0.26538 3.49329 0.0 0.0 0.1
C -2.14335 0.28382 3.38615 0.0 0.0 -0.1
C -2.87212 0.12606 2.13084 0.1 0.0 0.0
C -4.21793 0.17983 1.94243 -0.1 0.1 0.1
S -4.57809 0.04178 0.28119 0.0 -0.1 0.0
C -2.89286 -0.10038 -0.04849 0.0 -0.1 -0.1
N -2.13630 -0.05357 0.99418 0.0 0.0 -0.2
H -3.77967 0.50486 4.72744 0.0 0.0 0.0
H -2.77783 0.89762 7.46109 0.0 0.0 0.0
H -0.60679 1.01514 8.64473 0.0 0.0 0.0
H 1.51730 0.80554 7.42619 0.0 0.0 0.0
H 1.54109 0.46887 4.94853 0.0 0.0 0.0
H -4.99417 0.33988 2.67241 0.0 0.0 0.0
H -2.51272 -0.22110 -1.05628 0.0 0.0 0.0
C -3.22612 4.63930 -3.99051 0.0 0.0 0.0
C -1.80305 4.12784 -3.85214 0.0 0.0 0.1
C -1.00193 4.43428 -5.11404 0.0 0.0 0.0
O -1.83647 2.73990 -3.60922 0.0 0.1 0.0
C -0.75752 2.38628 -2.71545 0.0 0.1 0.0
C -0.31410 3.73808 -2.13991 0.0 0.0 0.0
O -1.21375 4.71085 -2.70959 0.0 0.0 0.0
C -0.26266 3.74859 -0.57894 -0.2 -0.1 0.1
O 0.27686 2.58728 -0.15632 0.3 0.0 -0.2
C -1.61986 3.85911 0.14040 0.1 0.0 0.1
C -2.86014 3.57258 -0.41047 -0.1 0.0 0.0
C -4.00440 3.52675 0.38755 0.0 0.0 -0.1
C -3.92690 3.75930 1.74931 0.0 0.0 0.1
C -2.68026 4.02202 2.31944 -0.1 0.0 0.0
C -1.55077 4.06516 1.52503 0.0 0.0 -0.1
C 0.62237 4.96556 -0.21888 0.0 0.0 -0.1
C 0.14858 6.26577 -0.08538 0.0 0.0 0.0
C 1.01674 7.31302 0.20552 0.0 0.0 0.0
C 2.37798 7.07338 0.34435 0.0 0.0 0.0
C 2.86004 5.77735 0.18660 0.0 0.0 0.0
C 1.98808 4.73357 -0.08349 0.0 0.0 0.0
C 0.31705 1.33196 -3.31361 0.1 0.1 0.0
O 0.12101 0.16172 -2.65937 0.0 -0.1 -0.2
C 0.01650 1.08393 -4.82080 0.0 0.0 0.0
C 0.88320 1.28678 -5.88768 0.0 0.0 0.0
C 0.53409 0.92114 -7.18961 0.0 0.0 0.0
C -0.69617 0.34862 -7.45027 0.0 0.0 0.0
C -1.57111 0.12344 -6.38783 0.0 0.0 0.0
C -1.21170 0.47406 -5.10187 0.0 0.0 0.0
C 1.78216 1.83976 -3.13730 0.0 0.1 0.0
C 2.65790 1.13291 -2.32067 0.1 0.1 0.0
C 3.97802 1.51607 -2.12322 0.0 0.0 0.0
C 4.47801 2.64993 -2.74473 0.0 0.0 0.0
C 3.62814 3.38418 -3.56000 0.0 0.0 0.0
C 2.31304 2.98006 -3.74730 0.0 0.0 0.0
H -3.70452 4.15798 -4.84427 0.0 0.0 0.0
H -3.21455 5.71837 -4.14856 0.0 0.0 0.0
H -3.79472 4.42165 -3.08905 0.0 0.0 0.0
H -1.43779 3.90896 -5.96522 0.0 0.0 0.0
H 0.02145 4.09307 -5.00696 0.0 0.0 0.0
H -0.99824 5.50967 -5.30287 0.0 0.0 0.0
H -1.18872 1.78865 -1.91682 -0.1 0.0 0.0
H 0.69954 3.98804 -2.45078 0.0 0.0 0.0
H -2.94368 3.35537 -1.46466 0.0 0.0 -0.1
H -4.96138 3.29585 -0.06938 0.0 0.0 0.0
H -4.81924 3.72317 2.36595 0.0 0.0 0.0
H -2.59091 4.17887 3.38950 0.0 0.0 0.0
H -0.57599 4.21967 1.97371 0.0 0.0 0.0
H -0.91231 6.45593 -0.20395 0.0 0.0 0.0
End of the calculated molecules >
2. Setting up a new App on Heroku
In your Heroku dashboard, click on "New" to set up a new app. Small hobby projects (with limited computational resources) can be set up for free and no payment information or other personal details are required for this. Assume, we have called the app heroku_appname
3. Local Setup
On your own local machine, make a new directory for your app and switch into it. Copy the source file(s) of your app into this folder.
4. Specifying the App's Dependencies
We now need to specify the dependencies of the app in a file requirements.txt
. This can be done by creating and activating a virtual environment (with arbitrary name such as myenv
), e.g. by using
python -m venv myenv
. venv/bin/activate
and then installing all required libraries via pip
. Here, we want to serve a flask app. While flask does contain a webserver of its own, this webserver is not suitable for production use as it doesn't scale very well. Thus, we use flask only as our web framework, but rely on another webserver to serve the app: gunicorn. Hence, both flask and gunicorn need to be installed via pip
in this step. Finally, execute
pip freeze > requirements.txt
to generate the list of requirements.
5. The Procfile
A file Procfile
needs to be added to the directory. It contains information that specify how exactly Heroku will run your app. Assume the Python source file of the app is called
and within that file the flask object is simply called app
(as per usual convention). For the case of our flask app, one may then use the following Procfile
web: gunicorn myapp:app --log-file=-
6. Pushing to Heroku
Now, you need to log into your Heroku account on the command line, using the heroku
command-line tool (which you will probably have to install beforehand) via heroku login
. Then, initialise a new git repository in your app's directory and specify the remote path to push to by running
git init
'''
No. 1
# C26H28NO

2 unconnected molecules or ions with the total composition C26H28NO at a distorted geometry (wB97M-V/def2-TZVPD, the Open Molecules 2025 dataset).

Structure (ORCA input):
```
! RIJCOSX wB97M-V def2-TZVPD def2/J DEFGRID3
* xyz 1 1
C -4.926 -2.040 2.488
C -5.112 -0.651 2.441
C -4.011 0.200 2.352
C -2.707 -0.336 2.272
C -1.541 0.554 2.039
C -1.642 1.842 1.620
N -0.290 -0.035 2.307
C 0.885 0.339 1.669
C 2.075 -0.535 1.901
C 3.333 -0.004 1.558
C 4.481 -0.773 1.745
C 4.394 -2.068 2.254
C 3.139 -2.606 2.561
C 1.983 -1.856 2.368
O 0.938 1.328 0.943
C -2.530 -1.734 2.321
C -3.632 -2.574 2.438
H -5.796 -2.701 2.562
H -6.113 -0.218 2.477
H -4.151 1.281 2.332
H -0.756 2.481 1.644
H -2.611 2.325 1.737
H -0.250 -0.826 2.920
H 3.385 1.014 1.158
H 5.452 -0.336 1.489
H 5.291 -2.653 2.406
H 3.064 -3.619 2.951
H 0.998 -2.299 2.573
H -1.535 -2.164 2.224
H -3.486 -3.648 2.484
C -2.163 2.712 -2.093
C -1.577 1.353 -2.016
C -0.262 0.950 -2.300
C 0.009 -0.422 -2.677
C -1.101 -1.398 -2.913
C 1.313 -0.868 -2.816
C 2.405 -0.008 -2.675
C 3.797 -0.521 -2.775
C 2.156 1.350 -2.451
C 0.874 1.849 -2.296
C 0.717 3.311 -2.057
H -3.258 2.628 -2.212
H -1.974 3.302 -1.183
H -1.828 3.294 -2.971
H -2.325 0.568 -2.114
H -0.694 -2.387 -3.170
H -1.719 -1.517 -2.013
H -1.754 -1.090 -3.745
H 1.490 -1.923 -3.022
H 4.518 0.293 -2.650
H 3.994 -1.278 -2.005
H 3.972 -0.991 -3.752
H 3.003 2.033 -2.359
H 1.706 3.787 -2.006
H 0.157 3.803 -2.865
H 0.215 3.484 -1.098
*
```

## Properties
Orbital gap = 5.56 eV
LUMO = -5.2 eV
Electronic energy = -30947.0471 eV
Relative energy (zero: lowest compared OMol25 entry of this formula, charge and spin) = 0.0 kcal per mole


No. 2
# C19H36N4O4S

8 unconnected molecules or ions with the total composition C19H36N4O4S at a distorted geometry (wB97M-V/def2-TZVPD, the Open Molecules 2025 dataset).

Structure (ORCA input):
```
! RIJCOSX wB97M-V def2-TZVPD def2/J DEFGRID3
* xyz 0 1
C -27.906 -28.738 -3.099
C -28.209 -28.616 -1.686
N -28.479 -28.465 -0.585
H -26.879 -29.019 -3.305
H -28.195 -27.813 -3.589
H -28.467 -29.572 -3.532
C -25.289 -30.647 -5.453
C -26.553 -30.871 -6.137
N -27.553 -31.070 -6.667
H -24.414 -30.852 -6.058
H -25.295 -31.155 -4.488
H -25.228 -29.593 -5.153
C -20.810 -21.664 -3.932
C -21.439 -22.972 -4.164
N -21.933 -23.984 -4.377
H -20.039 -21.451 -4.664
H -20.319 -21.691 -2.958
H -21.638 -20.959 -3.890
C -28.638 -25.781 1.557
C -27.409 -25.358 0.905
N -26.434 -25.024 0.407
H -29.179 -24.909 1.921
H -28.445 -26.472 2.371
H -29.252 -26.271 0.799
C -24.458 -28.228 -1.788
S -24.241 -26.984 -3.066
O -25.523 -27.042 -3.892
C -24.262 -25.406 -2.126
H -23.441 -28.469 -1.473
H -24.893 -29.136 -2.193
H -25.051 -27.825 -0.969
H -25.238 -25.453 -1.641
H -24.243 -24.660 -2.916
H -23.445 -25.287 -1.424
C -30.078 -25.221 -4.072
C -29.170 -24.989 -2.882
O -29.612 -25.122 -1.758
C -27.740 -24.658 -3.149
H -31.048 -25.560 -3.723
H -29.543 -25.860 -4.780
H -30.272 -24.291 -4.618
H -27.266 -24.087 -2.351
H -27.642 -24.054 -4.053
'''
heroku git:remote -a heroku_appname
Add and commit the content of your directory to the newly initialised git repository, and then push to Heroku by running
git add .
git commit -am "my first commit"
git push heroku master
Done already! After pushing, the server will automatically build your project and serve it to the web (during the build process, you may press CTRL-C
to detach the process from your terminal, it will continue working in the background). If an error occurs, run heroku logs
in your terminal to inspect the logs.
Conclusions and Outlook
Heroku was recommended to me by a friend of mine and has turned out to be surprisingly easy to set up and to use! I also immensely appreciate the possibility of running apps without any costs on their platform, as long as they're hobby projects and don't require too much continuous uptime. This has definitely conviced me to use their services in the future again, even for more demanding projects which might require some payment.
I also learned a great deal of details about modern web programming over the course of this little project: I have, until now, never written a web app, let alone deployed it to the internet. Naturally, I thus have also never used any "platform as a service" provider like Heroku before. It's really cool to be able to use this workflow to share some of my data science projects with a wider audience in the future.
During this project, I was made aware of a number of interesting Python libraries that allow for the generation of interactive plots. I have, however, deliberately limited the scope of my Covid dashboard to static plots for now, because I wanted to finish this project first before getting lost in learning how to use additional libraries ;-). With this project being finished now, looking into generating interactive plots seems to be a natural next step of expanding my toolbox. As soon as I have done so, I will of course talk about it here. Stay tuned and have a wonderful start into the new week!